**Brief:**
The reader should search the rows further below for the word "Pnma" and copy each line that has it.
**Given:**
- - -
(1)
Here is a relaxed structure of LiReSn2 from the Alexandria database. Energies are from PBE-GGA.

Lattice parameters (Å, degrees): 4.678 4.678 4.678 60.00 60.00 60.00
Positions (direct):
1 Sn 0.750 0.750 0.750
2 Sn 0.250 0.250 0.250
3 Li 0.000 0.000 0.000
4 Re 0.500 0.500 0.500

Calculated values
Offset from the most stable computed form   0.000 eV per atom
E_form   0.204 eV/atom
Space-group type   Fm-3m, No. 225

---

(2)
Here is a relaxed structure of Hf2CoH from the Alexandria database. Energies are from PBE-GGA.

Lattice parameters (Å, degrees): 4.340 4.340 4.340 60.00 60.00 60.00
Positions (direct):
1 Co 0.500 0.500 0.500
2 H 0.000 0.000 0.000
3 Hf 0.750 0.750 0.750
4 Hf 0.250 0.250 0.250

Calculated values
Offset from the most stable computed form   0.397 eV per atom
Space-group type   Fm-3m, No. 225

---

(3)
Here is a relaxed structure of Mg5Tc from the Alexandria database. Energies are from PBE-GGA.

Lattice parameters (Å, degrees): 5.553 5.553 5.553 60.00 60.00 60.00
Site moments in Bohr magnetons follow the coordinates.
Positions (direct):
1 Mg 0.250 0.250 0.250  0.00
2 Mg 0.626 0.626 0.626  0.00
3 Mg 0.626 0.626 0.122  0.00
4 Mg 0.122 0.626 0.626  0.00
5 Mg 0.626 0.122 0.626  0.00
6 Tc 0.000 0.000 0.000  1.55

Calculated values
Offset from the most stable computed form   0.303 eV per atom
E_form   0.433 eV/atom
Space-group type   F-43m, No. 216

---

(4)
Here is a relaxed structure of Ac2MgAg from the Alexandria database. Energies are from PBE-GGA.

Lattice parameters (Å, degrees): 4.059 4.059 7.977 90.00 90.00 90.00
Positions (direct):
1 Ag 0.500 0.500 0.000
2 Ac 0.000 0.000 0.760
3 Ac 0.000 0.000 0.240
4 Mg 0.500 0.500 0.500

Calculated values
Offset from the most stable computed form   0.000 eV per atom
E_form   -0.171 eV/atom
Space-group type   P4/mmm, No. 123

---

(5)
Here is a relaxed structure of CeZnCd3 from the Alexandria database. Energies are from PBE-GGA.

Lattice parameters (Å, degrees): 4.493 8.956 11.638 90.00 90.00 90.00
Site moments in Bohr magnetons follow the coordinates.
Positions (direct):
1 Cd 0.750 0.099 0.207  0.00
2 Cd 0.750 0.599 0.293  0.00
3 Cd 0.250 0.865 0.202  0.00
4 Cd 0.750 0.135 0.798  0.00
5 Cd 0.250 0.401 0.707  0.00
6 Cd 0.750 0.934 0.600  0.00
7 Cd 0.750 0.635 0.702  0.00
8 Cd 0.250 0.901 0.793  0.00
9 Cd 0.250 0.365 0.298  0.00
10 Cd 0.750 0.434 0.900  0.00
11 Cd 0.250 0.566 0.100  0.00
12 Cd 0.250 0.066 0.400  0.00
13 Zn 0.750 0.879 0.370  0.00
14 Zn 0.250 0.621 0.870  0.00
15 Zn 0.750 0.379 0.130  0.00
16 Zn 0.250 0.121 0.630  0.00
17 Ce 0.250 0.688 0.496  0.88
18 Ce 0.750 0.312 0.504  0.88
19 Ce 0.250 0.188 0.004  0.88
20 Ce 0.750 0.812 0.996  0.88

Calculated values
Offset from the most stable computed form   0.000 eV per atom
E_form   -0.150 eV/atom
Space-group type   Pnma, No. 62

---

(6)
Here is a relaxed structure of Sb3TePd6 from the Alexandria database. Energies are from PBE-GGA.

Lattice parameters (Å, degrees): 3.491 11.441 11.156 120.21 90.00 90.00
Positions (direct):
1 Pd 0.750 0.847 0.715
2 Pd 0.750 0.128 0.489
3 Pd 0.250 0.701 0.042
4 Pd 0.250 0.059 0.932
5 Pd 0.750 0.564 0.641
6 Pd 0.250 0.436 0.359
7 Pd 0.750 0.724 0.261
8 Pd 0.750 0.941 0.068
9 Pd 0.750 0.299 0.958
10 Pd 0.250 0.872 0.511
11 Pd 0.250 0.153 0.285
12 Pd 0.250 0.276 0.739
13 Sb 0.250 0.776 0.849
14 Sb 0.750 0.503 0.861
15 Sb 0.250 0.497 0.139
16 Sb 0.750 0.647 0.449
17 Sb 0.250 0.353 0.551
18 Sb 0.750 0.224 0.151
19 Te 0.250 0.928 0.293
20 Te 0.750 0.072 0.707

Calculated values
E_form (uncorrected)   -0.332 eV per atom
Space-group type   P2_1/m, No. 11
- - -
**Reply:**
Space-group type   Pnma, No. 62